The US Department of Energy (DOE) Waste Isolation Pilot Plant (WIPP) in New Mexico recently achieved a milestone as its largest safety-related ventilation system reached its final depth of 2,275 feet. The new air intake shaft, 26 feet in diameter, supports the Safety Significant Confinement Ventilation System (SSCVS), which will increase underground airflow from 170,000 cubic feet per minute (cfm) to 540,000 cfm.
WIPP, located some 26 miles east of Carlsbad, was constructed in the 1980s for disposal of defence-generated transuranic (TRU) waste. The repository is carved out of a 2,000-foot-thick salt bed. TRU waste is disposed of 2,150 feet underground in rooms mined from the salt bed.
Increased airflow will allow for simultaneous waste emplacement, mining and bolting to take place underground at WIPP, the only US repository for defence-related TRU waste. DOE’s Office of Environmental Management (EM) said bolting controls the movement of salt rock, known as salt creep. “Reaching this milestone is a real tribute to the crews who worked safely and compliantly around the clock,” said Mark Bollinger, EM Carlsbad Field Office manager.
Above the utility shaft’s final depth of 2,275 feet, crews are already cutting horizontally into the salt to create connecting passageways, or drifts, to the WIPP mine. Salado Isolation Mining Contractors (SIMCO), WIPP’s management and operations contractor, is overseeing the SSCVS and utility shaft projects. Crews from SIMCO’s subcontractor, the joint partnership of Harrison Western and Shaft Sinkers, reached the shaft bottom by working a 24/7 schedule to support the project, EM said.
Record 1
Computed, not measured: C22H58InN8O4S as an isolated structure in a non-equilibrium geometry, with ωB97M-V/def2-TZVPD.

Properties
Net charge: -1
LUMO (eV): 2.6
Frontier orbital gap (eV): 7.27

Last column: Löwdin charge in e.
CARTESIAN COORDINATES (ANGSTROEM)
1 N -1.014 1.404 -4.719  0.14
2 C -1.826 0.493 -4.382  -0.54
3 N -3.261 0.711 -4.446  0.08
4 N -1.448 -0.743 -3.855  0.03
5 C -0.025 -1.090 -4.019  -0.22
6 C 0.450 -1.888 -2.786  -0.20
7 C 0.201 -1.064 -1.500  -0.32
8 C 1.416 -0.996 -0.534  -0.31
9 In 0.887 -1.929 1.437  0.45
10 N -0.112 -0.474 2.763  -0.06
11 C -0.836 0.194 2.109  -0.98
12 S -2.014 1.034 1.348  0.49
13 H -1.559 2.208 -5.011  0.02
14 H -3.670 0.164 -5.195  0.07
15 H -3.646 0.376 -3.566  0.07
16 H -2.001 -1.440 -4.341  0.12
17 H 0.592 -0.200 -4.074  0.10
18 H 0.101 -1.727 -4.902  0.11
19 H -0.073 -2.847 -2.731  0.10
20 H 1.514 -2.116 -2.893  0.10
21 H -0.065 -0.038 -1.769  0.09
22 H -0.681 -1.489 -1.017  0.06
23 H 2.304 -1.479 -0.939  0.01
24 H 1.622 0.058 -0.336  0.01
25 H -0.207 -3.296 1.132  -0.12
26 H 2.415 -2.398 2.222  -0.13
27 C 6.014 3.242 -0.793  -0.08
28 C 5.019 2.448 0.049  -0.43
29 C 5.054 0.935 -0.212  -0.20
30 O 4.429 0.533 -1.412  -0.19
31 C 5.211 0.659 -2.579  -0.11
32 N 3.681 3.013 -0.141  0.04
33 H 5.673 3.362 -1.821  0.06
34 H 6.142 4.242 -0.378  0.07
35 H 6.993 2.757 -0.811  0.07
36 H 5.294 2.590 1.098  0.13
37 H 4.489 0.444 0.584  0.13
38 H 6.081 0.545 -0.164  0.12
39 H 6.270 0.464 -2.379  0.09
40 H 5.100 1.649 -3.032  0.07
41 H 4.849 -0.077 -3.297  0.09
42 H 3.033 2.565 0.501  0.07
43 H 3.352 2.728 -1.060  0.07
44 C 6.242 -6.765 3.627  -0.08
45 C 6.316 -5.245 3.738  -0.44
46 C 4.983 -4.533 3.466  -0.22
47 O 4.621 -4.455 2.107  -0.21
48 C 4.003 -5.614 1.583  -0.11
49 N 7.389 -4.757 2.865  0.03
50 H 6.220 -7.097 2.589  0.06
51 H 7.119 -7.219 4.091  0.07
52 H 5.355 -7.154 4.130  0.08
53 H 6.594 -5.008 4.770  0.13
54 H 5.081 -3.495 3.795  0.12
55 H 4.168 -4.976 4.055  0.12
56 H 3.390 -6.124 2.332  0.09
57 H 4.760 -6.299 1.186  0.07
58 H 3.359 -5.305 0.760  0.09
59 H 7.513 -3.761 3.021  0.07
60 H 7.051 -4.817 1.908  0.07
61 C -4.807 4.815 -3.188  -0.08
62 C -4.307 4.375 -1.815  -0.43
63 C -2.909 4.907 -1.468  -0.21
64 O -1.854 4.244 -2.130  -0.18
65 C -1.599 4.681 -3.447  -0.12
66 N -4.381 2.916 -1.729  0.05
67 H -4.337 4.248 -3.992  0.06
68 H -5.882 4.650 -3.266  0.07
69 H -4.616 5.878 -3.358  0.07
70 H -4.996 4.788 -1.070  0.13
71 H -2.736 4.737 -0.402  0.12
72 H -2.845 5.992 -1.636  0.12
73 H -1.770 5.758 -3.556  0.09
74 H -2.213 4.137 -4.170  0.06
75 H -0.554 4.467 -3.668  0.09
76 H -4.156 2.625 -0.781  0.06
77 H -3.620 2.539 -2.290  0.05
78 C -6.991 0.900 4.944  -0.08
79 C -6.171 1.226 3.699  -0.44
80 C -6.743 0.615 2.409  -0.21
81 O -6.516 -0.772 2.254  -0.18
82 C -7.415 -1.613 2.943  -0.12
83 N -4.778 0.846 3.930  0.05
84 H -6.813 -0.118 5.293  0.06
85 H -6.714 1.570 5.759  0.07
86 H -8.062 1.018 4.759  0.07
87 H -6.199 2.312 3.566  0.13
88 H -6.239 1.086 1.561  0.12
End of the records of molecules:
“Completion to depth is a great achievement,” said Ken Harrawood, SIMCO president and programme manager. “This milestone sets the stage for all of our future progress to the west, including Panel 11.”
The drilling crews reached the depth of the WIPP waste disposal rooms in early July, ahead of schedule. Horizontal passageways were created on either side of the shaft. These will be further mined to connect to the existing WIPP underground and provide access drifts, or connecting passageways, for new waste disposal panels that have been authorised at WIPP, EM noted. The final depth of the air intake shaft, at 2,275 feet, provides space below the repository level for work areas and infrastructure, such as communications and electricity, that will support mining activities.
The $100m air intake shaft is part of an almost $500m rebuild of the plant’s ventilation system and will also provide access to the west end of the mine where nuclear waste is disposed of via burial, according to the Carlsbad Current-Argus. The entire project is scheduled to be complete by 2026. Two new panels are being built at the west end to hold nuclear waste. These are needed to replace space lost after a 2014 incident contaminated parts of the underground.
The incident occurred when an incorrectly-packaged drum of waste shipped from Los Alamos National Laboratory in northern New Mexico ruptured due to a chemical reaction. The resulting radiation release contaminated parts of the WIPP underground and led to a three-year shutdown of the facility’s primary operations. The site reopened and began accepting waste again in 2017, with some areas of the underground remaining restricted and requiring workers to wear breathing apparatuses when entering. Following the incident, WIPP’s airflow was restricted to about 170,000 cfm.
Another incident occurred in 2022, Carlsbad Current-Argus reported. Following an investigation, officials said there was no risk of a radiological release. As a drum of waste was being processed, liquid was found at the bottom of the container which tested positive for radioactive contamination, according to a WIPP news release. All personnel in the area were evacuated and tested for contamination, and operations were temporarily suspended. No radiation was released from the site, and there was no risk to the public.
Two more recent incidents were cited in the latest monthly report from the federal Defense Nuclear Facilities Safety Board. In August a forklift driver collided with a drum containing nuclear waste, puncturing the container, the report said. This led to a cease of waste handling operations while the area was tested for contamination. The driver, who hit an area of “soft ground,” altering his approach of the drum, tested positive for a controlled substance, according to the report.
In September, continuous air monitors (CAMS) in the underground began sounding, indicating possible airborne contamination. All underground activities were suspended, and all workers on the surface were told to stay inside while the underground was evacuated. No contamination was found and the alerts were reportedly caused by electrical issues.